'''
(1)
Density functional theory data (ωB97M-V with the def2-TZVPD basis set) for a structure of composition C43H43N10O3RbS.

Properties
* relative energy (zero: lowest compared OMol25 entry of this formula, charge and spin): 16.4 kcal per mole
* E_HOMO: -7.94 eV
* LUMO: -0.03412 Eh
* Kohn-Sham gap: 0.2577 Ha

Element x y z (Å)
Rb -0.170 -0.088 0.960
C 3.115 -1.609 -0.296
C 2.399 -2.541 -1.268
N 0.963 -2.483 -1.170
C 0.251 -3.739 -1.179
C 0.441 -4.568 0.090
S 0.042 -3.678 1.614
C 1.632 -3.578 2.466
C 2.833 -3.039 1.695
N 2.632 -1.740 1.069
H 2.947 -0.570 -0.599
H 4.200 -1.794 -0.393
H 2.726 -3.568 -1.087
H 2.764 -2.305 -2.280
H 0.565 -1.802 -1.807
H 0.532 -4.390 -2.027
H -0.813 -3.522 -1.297
H 1.459 -4.954 0.157
H -0.210 -5.442 0.027
H 1.908 -4.556 2.871
H 1.416 -2.946 3.330
H 3.109 -3.765 0.928
H 3.691 -3.023 2.383
H 3.032 -1.014 1.646
C 3.234 -0.636 4.407
C 1.979 -0.233 3.967
N 1.827 0.791 3.140
C 2.930 1.441 2.774
C 4.185 1.018 3.209
N 4.344 -0.023 4.017
C 2.768 2.619 1.877
C 3.599 3.722 2.014
C 3.389 4.820 1.187
C 2.352 4.759 0.268
C 1.563 3.612 0.203
N 1.777 2.558 0.989
C 0.421 3.516 -0.760
C 0.056 4.574 -1.595
N -0.958 4.495 -2.447
C -1.622 3.349 -2.466
C -1.270 2.288 -1.642
N -0.252 2.366 -0.798
C 4.234 6.026 1.300
C 5.602 5.930 1.538
C 6.344 7.097 1.633
N 5.829 8.314 1.509
C 4.524 8.399 1.283
C 3.688 7.299 1.168
H 3.331 -1.483 5.075
H 1.080 -0.745 4.287
H 5.084 1.523 2.876
H 4.360 3.754 2.782
H 2.182 5.596 -0.390
H 0.590 5.513 -1.581
H -2.456 3.257 -3.152
H -1.811 1.351 -1.683
H 6.091 4.969 1.626
H 7.413 7.041 1.809
H 4.114 9.398 1.191
H 2.628 7.437 1.005
O -2.289 -1.625 -0.061
C -3.499 -1.865 0.678
C -3.245 -1.403 2.154
O -4.208 -1.392 2.915
O -2.039 -1.116 2.403
C -3.756 -3.367 0.608
C -3.476 -4.201 1.681
C -3.594 -5.579 1.548
C -3.990 -6.135 0.344
C -4.277 -5.305 -0.734
C -4.161 -3.934 -0.598
C -4.641 -1.084 0.056
C -5.943 -1.318 0.501
C -7.004 -0.624 -0.048
C -6.789 0.314 -1.054
C -5.501 0.553 -1.495
C -4.433 -0.142 -0.939
H -1.651 -1.705 0.677
H -3.168 -3.779 2.628
H -3.373 -6.218 2.393
H -4.083 -7.208 0.245
H -4.595 -5.730 -1.677
H -4.395 -3.290 -1.438
H -6.105 -2.034 1.292
H -8.007 -0.813 0.312
H -7.624 0.852 -1.483
H -5.320 1.285 -2.273
H -3.426 0.047 -1.283
N -2.069 -1.414 -3.044
C -1.240 -0.512 -3.639
C -1.600 0.114 -4.851
C -0.719 0.999 -5.422
C 0.505 1.256 -4.802
C 0.768 0.595 -3.622
N -0.073 -0.261 -3.038
H -3.021 -1.451 -3.366
H -1.962 -1.599 -2.052
H -2.553 -0.106 -5.311
H -0.981 1.493 -6.349
H 1.226 1.943 -5.221
H 1.700 0.764 -3.092

(2)
Density functional theory data (ωB97M-V with the def2-TZVPD basis set) for a cluster of 6 separate species, C43H43N9O3 in total.

Properties
* E_HOMO: -8.84 eV
* LUMO: -0.04594 Eh
* Kohn-Sham gap: 0.2791 Ha

Element x y z (Å)
N -0.233 -4.626 -0.707
C -0.181 -4.993 0.791
C -0.115 -3.682 1.778
C -1.331 -2.601 1.580
C -1.054 -0.958 1.436
C 0.454 -0.278 1.464
C 0.798 0.534 0.055
C 1.567 -0.387 -1.065
N 1.210 -1.833 -1.324
O 2.554 0.197 -1.763
C -2.311 0.135 1.278
C -3.885 -0.315 1.248
C -4.148 -1.929 1.365
C -2.948 -3.030 1.546
C -3.450 -4.623 1.696
C -3.648 -5.398 0.310
C -4.130 -6.954 0.320
C -4.387 -7.454 1.850
C -4.146 -6.437 3.065
N -3.662 -5.028 3.110
C -5.777 -2.062 1.256
O -6.594 -3.107 1.091
N -6.309 -0.614 1.325
C -5.287 0.525 1.128
O -5.503 1.837 0.958
H 0.787 -4.406 -0.921
H -0.365 -5.575 -1.171
H -0.994 -5.789 1.081
H 0.868 -5.550 0.918
H 0.910 -3.129 1.518
H -0.001 -3.989 2.925
H 1.303 -1.005 1.808
H 0.398 0.574 2.298
H 1.519 1.416 0.352
H -0.212 1.015 -0.335
H 0.186 -1.942 -1.127
H 1.783 -2.386 -0.634
H -2.088 1.303 1.205
H -3.429 -4.861 -0.714
H -4.294 -7.659 -0.599
H -4.748 -8.556 2.055
H -4.396 -6.880 4.148
H -7.239 -0.460 0.855
C -5.162 -9.340 -5.378
C -5.857 -8.366 -4.669
C -5.322 -7.920 -3.471
N -4.164 -8.379 -2.948
C -3.512 -9.325 -3.658
C -3.965 -9.831 -4.866
H -5.549 -9.714 -6.321
H -6.793 -7.964 -5.040
H -5.826 -7.158 -2.882
H -2.585 -9.679 -3.215
H -3.399 -10.590 -5.394
C 0.182 5.904 2.216
C 0.773 5.731 0.969
C 0.243 4.772 0.120
N -0.814 3.991 0.435
'''

Your job: echo only the lines further up with the word "C43H43N10O3RbS" in them.

Density functional theory data (ωB97M-V with the def2-TZVPD basis set) for a structure of composition C43H43N10O3RbS.